Harbin Z-20 - Wikipedia
# Between two parts of the piece: records of crystals
=====
P.
Computed, not measured: a relaxed ZnBiPd3 crystal at the GGA-PBE level of DFT.

It has space group Pm-3m (No. 221), with a = 5.0613 Å, b = 5.0613 Å, c = 5.0613 Å, α = 90.00°, β = 90.00° and γ = 90.00°. The inequivalent atoms are Zn at (0.0000, 0.0000, 0.0000), Bi at (0.5000, 0.5000, 0.5000) and Pd at (0.0000, 0.5000, 0.5000).

---

Q.
Computed, not measured: a relaxed ZnBiPd3 crystal at the GGA-PBE level of DFT.

It has space group Pm-3m (No. 221), with a = 4.6737 Å, b = 4.6737 Å, c = 4.6737 Å, α = 90.00°, β = 90.00° and γ = 90.00°. The inequivalent atoms are Zn at (0.0000, 0.0000, 0.0000), Bi at (0.5000, 0.5000, 0.5000) and Pd at (0.0000, 0.0000, 0.5000).

---

Most stable one: Q, least stable one: P.

---

P.
Computed, not measured: a relaxed ZnBiPd2 crystal at the GGA-PBE level of DFT.

It has space group P4/mmm (No. 123), with a = 3.2239 Å, b = 3.2239 Å, c = 6.9720 Å, α = 90.00°, β = 90.00° and γ = 90.00°. The inequivalent atoms are Zn at (0.0000, 0.0000, 0.0000), Bi at (0.0000, 0.0000, 0.5000) and Pd at (0.5000, 0.5000, 0.2054).

---

Q.
Computed, not measured: a relaxed ZnBiPd2 crystal at the GGA-PBE level of DFT.

It has space group P4/mmm (No. 123), with a = 4.5919 Å, b = 4.5919 Å, c = 3.4535 Å, α = 90.00°, β = 90.00° and γ = 90.00°. The inequivalent atoms are Zn at (0.0000, 0.0000, 0.0000), Bi at (0.5000, 0.5000, 0.0000) and Pd at (0.0000, 0.5000, 0.5000).

---

Most stable one: P, least stable one: Q.

---

P.
Computed, not measured: a relaxed ZnBiPd2 crystal at the GGA-PBE level of DFT.

It has space group R-3m (No. 166, hexagonal axes), with a = 4.4502 Å, b = 4.4502 Å, c = 12.9889 Å, α = 90.00°, β = 90.00° and γ = 120.00°. The inequivalent atoms are Zn at (0.0000, 0.0000, 0.0000), Bi at (0.0000, 0.0000, 0.5000) and Pd at (0.0000, 0.0000, 0.2735).

---

Q.
Computed, not measured: a relaxed ZnBiPd2 crystal at the GGA-PBE level of DFT.

It has space group R3m (No. 160, hexagonal axes), with a = 3.4939 Å, b = 3.4939 Å, c = 22.0965 Å, α = 90.00°, β = 90.00° and γ = 120.00°. The inequivalent atoms are Zn at (0.0000, 0.0000, 0.0000), Bi at (0.0000, 0.0000, 0.1672), Pd at (0.0000, 0.0000, 0.5953) and Pd at (0.0000, 0.0000, 0.7388).

---

R.
Computed, not measured: a relaxed ZnBiPd2 crystal at the GGA-PBE level of DFT.

It has space group I-42d (No. 122), with a = 7.3461 Å, b = 7.3461 Å, c = 5.7324 Å, α = 90.00°, β = 90.00° and γ = 90.00°. The inequivalent atoms are Zn at (0.0000, 0.0000, 0.0000), Bi at (0.0000, 0.0000, 0.5000) and Pd at (0.2120, 0.2500, 0.1250).

---

Most stable one: P, least stable one: R.

---

P.
Computed, not measured: a relaxed ZrBi3Pd crystal at the GGA-PBE level of DFT.

It has space group Pm-3m (No. 221), with a = 5.3252 Å, b = 5.3252 Å, c = 5.3252 Å, α = 90.00°, β = 90.00° and γ = 90.00°. The inequivalent atoms are Zr at (0.0000, 0.0000, 0.0000), Bi at (0.0000, 0.5000, 0.5000) and Pd at (0.5000, 0.5000, 0.5000).

---

Q.
Computed, not measured: a relaxed ZrBi3Pd crystal at the GGA-PBE level of DFT.
=====
# The records of crystals stop here
The Harbin Z-20 (Chinese: 直-20) is a Chinese medium-lift utility helicopter produced by the Harbin Aircraft Industry Group (HAIG). It was first flown on 23 December 2013 and has a maximum takeoff weight in the range of 10 tonnes (22,000 lb).
直-20 - 维基百科,自由的百科全书
直-20 (代号“ 神雕 ”)是由 哈尔滨飞机工业集团 研製的一款10吨级中型通用飛行器,于2013年12月23日首飞 [6],在陆海空三军中都扮演着重要角色。 自20世纪80年代以来, 中国人民解放军空军 就提出了对高空中型通用直升机的需求,以用于中国西部山区。 中美進入蜜月期後的1983年,为了解决边防部队,特别是驻高原一线哨所补给困难的问题,中央军委决定自美國引进一型适应青藏高原恶劣气候环境的先进运输直升机。 1984年7月,在白宮促成下,中方向 西科斯基飞 …
Z-20F helicopter confirmed in service by Chinese Navy - ChinaArms
2021年1月8日 · The South China Sea Fleet of the Chinese Army publicized its combat exercise images on January 6, and for the first time confirmed that the Z-20 anti-submarine type has been in service, which is called Z-20F by the outside. Warships dispatched for the exercise include “Yuncheng” 054A missile frigate, “Yongzhou” 056A missile frigate, and the
Z-20 Medium-Lift Utility Helicopter - Army Technology
2020年1月29日 · The Z-20 helicopter is a new medium-lift utility helicopter operated by China’s People’s Liberation Army Ground Force. The helicopter resembles the UH-60 Black Hawk twin-engine rotorcraft built by Sikorsky. The Z-20 entered active service with the Chinese armed forces in …
细说直-20F舰载反潜直升机 - 知乎 - 知乎专栏
The text is interrupted by crystal structures:
A plane-wave DFT calculation with GGA-PBE was carried out for a relaxed Rb3TlAg4 crystal.

**Energy**: -2.05 eV per atom
**Crystal system**: orthorhombic
**Formation enthalpy at 0 K**: 25 kJ/mol of formula units

a = 7.057 Å, b = 7.296 Å, c = 7.296 Å
α = 64.56°, β = 61.08°, γ = 61.08°
Atoms (fractional coordinates):
Tl 0.021 0.479 0.479
Ag 0.770 0.916 0.545
Ag 0.770 0.545 0.916
Ag 0.896 0.298 0.298
Ag 0.508 0.298 0.298
Rb 0.415 0.828 0.342
Rb 0.055 0.945 0.945
Rb 0.415 0.342 0.828



A plane-wave DFT calculation with GGA-PBE was carried out for a relaxed GeSF3 crystal.

**Energy above the lowest structure with this stoichiometry**: 1159 meV/atom
**Energy**: -3.25 eV per atom
**ΔE_f (raw)**: -0.380 eV per atom
**Crystal system**: cubic

a = 4.312 Å, b = 4.312 Å, c = 4.312 Å
α = 90.00°, β = 90.00°, γ = 90.00°
Atoms (fractional coordinates):
Ge 0.500 0.500 0.500
S 0.000 0.000 0.000
F 0.000 0.500 0.000
F 0.000 0.000 0.500
F 0.500 0.000 0.000



A plane-wave DFT calculation with GGA-PBE was carried out for a relaxed AcTh2Os crystal.

**Energy above the lowest structure with this stoichiometry**: 0 meV/atom
**Energy**: -7.67 eV per atom
**Crystal system**: trigonal
**Formation enthalpy at 0 K**: -50 kJ/mol of formula units

a = 4.148 Å, b = 4.148 Å, c = 9.612 Å
α = 77.54°, β = 77.54°, γ = 60.00°
Atoms (fractional coordinates):
Ac 0.502 0.502 0.495
Th 0.054 0.054 0.839
Th 0.279 0.279 0.163
Os 0.666 0.666 0.003



A plane-wave DFT calculation with GGA-PBE was carried out for a relaxed Er6AgRu crystal.

**Energy above the lowest structure with this stoichiometry**: 106 meV/atom
**Energy**: -4.99 eV per atom
**Crystal system**: monoclinic
**Formation enthalpy at 0 K**: -38 kJ/mol of formula units

a = 6.647 Å, b = 6.834 Å, c = 6.493 Å
α = 58.24°, β = 79.39°, γ = 69.52°
Atoms (fractional coordinates):
Er 0.740 0.459 0.633
Er 0.740 0.092 0.367
Er 0.260 0.908 0.633
Er 0.260 0.541 0.367
Er 0.736 0.741 0.000
Er 0.264 0.259 0.000
Ag 0.000 0.000 0.000
Ru 0.500 0.500 0.000

* * * * *

VASP calculation (GGA-PBE) on an optimized crystal structure of U2Tl3CdTe6.

abc: 7.6570 13.2792 8.6379
angles: 90.00 107.17 90.00
Space group C2/m (No. 12)
Asymmetric unit:
U 0.0000 0.1666 0.0000 x4
Tl 0.0000 0.0000 0.5000 x2
Tl 0.0000 0.3323 0.5000 x4
Cd 0.0000 0.5000 0.0000 x2
Te 0.2364 0.0000 0.2133 x4
Te 0.2391 0.3322 0.2144 x8

Total moment in μB/f.u.: 5.018
Electronic total energy in eV/atom: -4.588
ΔE_f (raw) in eV per formula unit: -5.6

* * * * *

(1)
Here is a geometry-optimized Ba2NpPdS6 structure from Alexandria. Energies are from PBE.

Calculated values
E_form (uncorrected) = -1.284 eV/atom
Electronic total energy = -5.96 eV per atom

Unit cell a=6.9661 b=6.9661 c=36.1020 alpha=90.00 beta=90.00 gamma=120.00
With the nearest neighbours (Å) after each atom.
Space group R-3m (No. 166, hexagonal axes)
One atom of each set of equivalent atoms:
Ba (0.0000, 0.0000, 0.1276) (multiplicity 6)  12 S 3.48-3.69
Ba (0.0000, 0.0000, 0.2990) (multiplicity 6)  9 S 3.41-3.49
直-20F被设计为一架多用途舰载反潜直升机,其核心任务是航空反潜作战,同时具备反舰、对地攻击作战能力,为此该机同时装有机载水面搜索雷达、吊放式声呐、声呐浮标发射器、磁异探测器和光电瞄准具,同时还装有用于夜间和恶劣天气下飞行的气象雷达/防撞雷达和卫星通讯系统,在一架最大起飞重量10吨的直升机上同时安装这些先进设备,使其成为中国机载作战系统最复杂和全面的直升机。 该机的定位和能力类似于2005年首飞的 MH-60R 多用途反潜直升机。 机载水面搜索 …
This Is Our Best Look Yet At China's Z-20F Seahawk Clone Toting …
2021年1月13日 · A new, much clearer picture has emerged of a Chinese Z-20F helicopter, the navalized variant of the Harbin Z-20, carrying what appears to be a load of eight live KD-10 air-to-ground/surface missiles. The image confirms that China is evaluating at least two different stub wing designs for the Z-20 family, which are generally described as clones ...
2024年3月25日 · Z-20F反潜直升机具有新型吊装声纳系统、空基低频声纳等先进设备,将极大提升055型驱逐舰的反潜能力。 众所周知,055型万吨级驱逐舰是我国自行研制的新一代军舰。 这也是我国第一艘排水量超过万吨的驱逐舰。 它也是当今世界上最强大的驱逐舰。 该舰无论是在吨位、电子设备、武器装备、设计理念等方面都已经处于世界前列。 055型万吨级大型驱动器排名世界第二,但或许没有人敢排名第一。 由于055型万吨级驱逐舰非常先进,许多国家在设计军舰时都 …
2021年1月8日 · 直-20是我国自主研制的一款中型多用途通用直升机,它采用单旋翼尾桨、低位后置平尾构型,采用低阻气动外形、高性能旋翼气动布局总体设计。 它也是我国首次应用电传飞控系统、首次使用自主研制的旋翼防除冰系统等多项“首次”的国产直升机,填补了我国直升机的多项空白,实现了直升机技术从第三代到第四代的跨越。 从目前来看,直-20通用直升机已经衍生出了陆航版和海航版两种机型。 其中,海航版直-20中还分出了舰载通用型和反潜型。 资料图:各版 …
Chinese Navy has commissioned Z-20F/J SAR naval version of Z …
<<<
A relaxed BaNi2O crystal. Source: the Alexandria database, functional PBE+U.

a = 4.387 Å, b = 4.387 Å, c = 4.387 Å
α = 60.00°, β = 60.00°, γ = 60.00°
Element x y z (fractional)
Ni 0.750 0.750 0.750
Ni 0.250 0.250 0.250
O 0.000 0.000 0.000
Ba 0.500 0.500 0.500

Computed properties:
excess energy over the best structure of this formula in the dataset	1204	meV per atom
total moment	0.00	μB per formula unit


No. 1
PrDyPuSn after structural relaxation. Source: Alexandria, functional PBE.

a = 5.4542 Å, b = 5.4542 Å, c = 5.4542 Å
α = 60.00°, β = 60.00°, γ = 60.00°
Last column: nearest neighbours and their distance in Å.
Sites, in units of the cell vectors:
Pr 0.0000 0.0000 0.0000  4 Sn 3.34, 4 Pu 3.34
Dy 0.5000 0.5000 0.5000  4 Sn 3.34, 4 Pu 3.34
Pu 0.7500 0.7500 0.7500  4 Dy 3.34, 4 Pr 3.34
Sn 0.2500 0.2500 0.2500  4 Dy 3.34, 4 Pr 3.34

Summary:
**Total magnetization**: 6.62 μB per formula unit
**Formation enthalpy at 0 K**: -0.163 eV/atom
**V**: 28.7 Å³/atom

---

No. 2
Tb6Pr2Dy3Pu after structural relaxation. Source: Alexandria, functional PBE.

a = 6.1902 Å, b = 6.1902 Å, c = 11.8034 Å
α = 95.04°, β = 95.04°, γ = 120.06°
Last column: nearest neighbours and their distance in Å.
Sites, in units of the cell vectors:
Tb 0.0838 0.4127 0.7515  6 Tb 3.53-3.60, 3 Dy 3.54-3.56, 1 Pu 3.56, 2 Pr 3.59
Tb 0.2452 0.2452 0.2483  6 Tb 3.53-3.60, 3 Dy 3.54-3.56, 1 Pu 3.57, 2 Pr 3.58
Tb 0.4127 0.0838 0.7515  6 Tb 3.53-3.60, 3 Dy 3.54-3.56, 1 Pu 3.56, 2 Pr 3.59
Tb 0.5873 0.9162 0.2485  6 Tb 3.53-3.60, 3 Dy 3.54-3.56, 1 Pu 3.56, 2 Pr 3.59
Tb 0.7548 0.7548 0.7517  6 Tb 3.53-3.60, 3 Dy 3.54-3.56, 1 Pu 3.57, 2 Pr 3.58
Tb 0.9162 0.5873 0.2485  6 Tb 3.53-3.60, 3 Dy 3.54-3.56, 1 Pu 3.56, 2 Pr 3.59
Pr 0.3335 0.6665 0.5000  3 Pu 3.57-3.58, 3 Pr 3.57, 6 Tb 3.58-3.59
Pr 0.6665 0.3335 0.5000  3 Pu 3.57-3.58, 3 Pr 3.57, 6 Tb 3.58-3.59
Dy 0.1666 0.8334 0.0000  6 Tb 3.54-3.56, 6 Dy 3.57-3.58
Dy 0.5000 0.5000 0.0000  6 Tb 3.54-3.56, 6 Dy 3.57-3.58
Dy 0.8334 0.1666 0.0000  6 Tb 3.54-3.56, 6 Dy 3.57-3.58
Pu 0.0000 0.0000 0.5000  6 Tb 3.56-3.57, 6 Pr 3.57-3.58

Summary:
**Total magnetization**: 6.31 μB per formula unit
**Formation enthalpy at 0 K**: 0.050 eV/atom
**V**: 32.1 Å³/atom

---

No. 3
Tb3Pr2Dy6Pu after structural relaxation. Source: Alexandria, functional PBE.

a = 6.1830 Å, b = 6.1830 Å, c = 11.7671 Å
α = 95.04°, β = 95.04°, γ = 120.05°
Last column: nearest neighbours and their distance in Å.
Sites, in units of the cell vectors:
Tb 0.0000 0.0000 0.0000  6 Dy 3.54-3.56, 6 Tb 3.57
Tb 0.3332 0.6668 0.0000  6 Dy 3.54-3.56, 6 Tb 3.57
Tb 0.6668 0.3332 0.0000  6 Dy 3.54-3.56, 6 Tb 3.57
Pr 0.1666 0.8334 0.5000  3 Pu 3.57, 3 Pr 3.57, 6 Dy 3.57
Pr 0.8334 0.1666 0.5000  3 Pu 3.57, 3 Pr 3.57, 6 Dy 3.57
Dy 0.0878 0.4166 0.2491  6 Dy 3.52-3.60, 3 Tb 3.54-3.56, 1 Pu 3.55, 2 Pr 3.57
Dy 0.2546 0.2546 0.7510  6 Dy 3.52-3.60, 3 Tb 3.54-3.56, 1 Pu 3.55, 2 Pr 3.57
Dy 0.4166 0.0878 0.2491  6 Dy 3.52-3.60, 3 Tb 3.54-3.56, 1 Pu 3.55, 2 Pr 3.57
>>>
2020年6月21日 · According to pictures released by the China Defense Blog on June 20, 2020, the Chinese Navy has commissioned Z-20F also called Z-20J by other Chinese sources, a naval version of the Chinese-made Harbin Z-20 medium-lift utility helicopter produced by the Harbin Aircraft Industry Group (HAIG).
Z-20 - Guide to Military Equipment and Civil Aviation
The Z-20F is the naval variant of the Z-20 medium-lift helicopter and is expected to be deployed by the PLA Navy (PLAN) onboard its new Type 055 destroyers and new aircraft carriers. The Z-20F helicopter designed to perform anti-submarine warfare (ASW) missions could be provided to the Type 052D destroyers as well.